Texas's Dependence on Federal Subsidies | The New Republic

• Misplaced materials data:
Calculated powder X-ray diffraction pattern
Compound: KBaTl4Pt2
Radiation: Cu Kα X-rays
Structure: a cell relaxed with PBE
Peak positions follow from Bragg's law for the DFT cell and can differ from measured ones.

```
data_KBaTl4Pt2
_symmetry_space_group_name_H-M 'A m m 2'
_symmetry_Int_Tables_number 38
_cell_length_a 8.5245
_cell_length_b 4.5191
_cell_length_c 11.8320
_cell_angle_alpha 90.00
_cell_angle_beta 90.00
_cell_angle_gamma 90.00
loop_
_symmetry_equiv_pos_as_xyz
'x,y,z'
'-x,-y,z'
'-x,y,z'
'x,-y,z'
'x,y+1/2,z+1/2'
'-x,-y+1/2,z+1/2'
'-x,y+1/2,z+1/2'
'x,-y+1/2,z+1/2'
loop_
_atom_site_label
_atom_site_fract_x
_atom_site_fract_y
_atom_site_fract_z
_atom_site_occupancy
K1 0.0000 0.0000 0.0000 1
Ba1 0.5000 0.0000 0.1131 1
Tl1 0.1921 0.0000 0.7106 1
Tl2 0.2969 0.0000 0.4037 1
Pt1 0.0000 0.0000 0.2786 1
Pt2 0.5000 0.0000 0.8283 1
```

Most intense lines, 5° ≤ 2θ ≤ 70°, by angle:
2theta, I/Imax, index
14.98, 86, 0 0 2
29.79, 87, 2 1 1
30.07, 60, 0 1 3
31.89, 67, 1 1 3
32.03, 34, 1 0 4
35.03, 32, 3 0 2
36.87, 73, 2 1 3
36.99, 48, 2 0 4
38.18, 100, 3 1 1
39.90, 54, 0 2 0
55.53, 30, 2 2 4
58.29, 32, 0 1 7


Calculated powder X-ray diffraction pattern
Compound: DyYTl2Zn2
Radiation: Cu Kα X-rays
Structure: a cell relaxed with PBE
Peak positions follow from Bragg's law for the DFT cell and can differ from measured ones.

```
data_DyYTl2Zn2
_symmetry_space_group_name_H-M 'P 3 m 1'
_symmetry_Int_Tables_number 156
_cell_length_a 4.6815
_cell_length_b 4.6815
_cell_length_c 7.3691
_cell_angle_alpha 90.00
_cell_angle_beta 90.00
_cell_angle_gamma 120.00
loop_
_symmetry_equiv_pos_as_xyz
'x,y,z'
'-y,x-y,z'
'-x+y,-x,z'
'-y,-x,z'
'-x+y,y,z'
'x,x-y,z'
loop_
_atom_site_label
_atom_site_fract_x
_atom_site_fract_y
_atom_site_fract_z
_atom_site_occupancy
Dy1 0.0000 0.0000 0.0000 1
Y1 0.0000 0.0000 0.5000 1
Tl1 0.3333 0.6667 0.7793 1
Tl2 0.6667 0.3333 0.2792 1
Zn1 0.3333 0.6667 0.1969 1
Zn2 0.6667 0.3333 0.6970 1
```

Most intense lines, 5° ≤ 2θ ≤ 70°, by angle:
2theta, I/Imax, index
25.07, 52, 1 0 1
32.85, 100, 1 0 2
38.46, 84, 1 1 0
43.06, 27, 0 1 3
45.93, 10, 1 1 2
46.46, 10, 0 2 1
51.45, 28, 0 2 2
59.09, 11, 2 0 3
64.35, 21, 1 1 4
66.03, 26, 2 1 2
67.64, 11, 1 0 5
69.56, 15, 3 0 0


Calculated powder X-ray diffraction pattern
Compound: TbY2Tl3AgPt2
Radiation: Cu Kα X-rays
Structure: a cell relaxed with PBE
Peak positions follow from Bragg's law for the DFT cell and can differ from measured ones.

```
data_TbY2Tl3AgPt2
_symmetry_space_group_name_H-M 'A m m 2'
_symmetry_Int_Tables_number 38
_cell_length_a 3.7767
_cell_length_b 13.7474
_cell_length_c 7.9467
_cell_angle_alpha 90.00
_cell_angle_beta 90.00
_cell_angle_gamma 90.00
loop_
_symmetry_equiv_pos_as_xyz
'x,y,z'
'-x,-y,z'
'-x,y,z'
'x,-y,z'
'x,y+1/2,z+1/2'
'-x,-y+1/2,z+1/2'
'-x,y+1/2,z+1/2'
'x,-y+1/2,z+1/2'
loop_
_atom_site_label
_atom_site_fract_x
_atom_site_fract_y
_atom_site_fract_z
_atom_site_occupancy
Tb1 0.0000 0.0000 0.0000 1
Y1 0.0000 0.2048 0.3850 1
Tl1 0.5000 0.0000 0.3197 1
Tl2 0.5000 0.1353 0.7249 1

Everything's Subsidized in Texas

For several years now, Texas has been the conservative model for responsibly budgeting by avoiding "big government." Here's Kevin Williamson:

Governor [Rick] Perry sums up the Texas model in five words: “Don’t spend all the money.” Here’s what a good long run of small-government, low-tax conservatism has achieved in Texas: Once a largely agricultural state, Texas today is home to 6 of the 25 largest cities in the country, more than any other state. Texas has a trillion-dollar economy that would make it the 15th-largest national economy in the world if it were, as some of its more spirited partisans sometimes idly suggest it should be, an independent country. [...] Saying no at just the right time sometimes means turning down “free” money from Washington. Texas left $556 million on the table when the federal government offered it to help modernize Texas’s unemployment trust fund, because the deal would have forced state taxpayers to pour additional revenue into the system after Uncle Sam’s bequest was tapped out.

And Rich Lowry:

# Attached: crystal structures
********
# 1
Starting from a crystal structure in Alexandria, relaxed with GGA-PBE, the X-ray powder pattern of Tb3Pr7Sm was calculated for Cu Kα.
Intensities are scaled so that the largest is 100.

Structure:
a b c (Å): 6.9794 10.2019 11.9350
angles (deg): 100.11 101.21 107.11
Positions (direct):
1 Tb 0.0000 0.0000 0.0000
2 Tb 0.1150 0.6637 0.9854
3 Tb 0.3541 0.0577 0.8140
4 Tb 0.4995 0.5002 0.4999
5 Tb 0.6143 0.1638 0.4855
6 Tb 0.8544 0.5576 0.3140
7 Pr 0.0275 0.4715 0.5814
8 Pr 0.1759 0.1811 0.5756
9 Pr 0.1863 0.8965 0.2654
10 Pr 0.2424 0.3596 0.9075
11 Pr 0.2933 0.8233 0.5345
12 Pr 0.4405 0.2543 0.2185
13 Pr 0.4727 0.7196 0.7989
14 Pr 0.5280 0.9713 0.0813
15 Pr 0.6763 0.6807 0.0751
16 Pr 0.6860 0.3969 0.7655
17 Pr 0.7424 0.8597 0.4072
18 Pr 0.7935 0.3231 0.0344
19 Pr 0.9401 0.7545 0.7185
20 Pr 0.9729 0.2193 0.2991
21 Sm 0.3012 0.5508 0.2297
22 Sm 0.8009 0.0512 0.7300

Largest 10 diffraction maxima, sorted by position, 10 to 90 degrees two-theta:
29.50°, intensity 64; 30.39°, intensity 77; 30.66°, intensity 94; 30.83°, intensity 100; 31.32°, intensity 96; 31.49°, intensity 84; 32.17°, intensity 27; 33.27°, intensity 29; 45.49°, intensity 24; 62.27°, intensity 24

# 2
Starting from a crystal structure in Alexandria, relaxed with GGA-PBE, the X-ray powder pattern of Tb7PrSm2 was calculated for Cu Kα.
Intensities are scaled so that the largest is 100.

Structure:
a b c (Å): 9.5379 9.5379 7.0748
angles (deg): 111.69 111.69 33.54
Positions (direct):
1 Tb 0.0000 0.0000 0.0000
2 Tb 0.2004 0.2004 0.7004
3 Tb 0.3920 0.3920 0.1405
4 Tb 0.3918 0.3918 0.6431
5 Tb 0.6082 0.6082 0.3569
6 Tb 0.6080 0.6080 0.8595
7 Tb 0.7996 0.7996 0.2996
8 Pr 0.0000 0.0000 0.5000
9 Sm 0.1987 0.1987 0.1986
10 Sm 0.8013 0.8013 0.8014

Largest 10 diffraction maxima, sorted by position, 10 to 90 degrees two-theta:
30.51°, intensity 87; 31.12°, intensity 100; 32.54°, intensity 46; 33.07°, intensity 41; 34.10°, intensity 16; 47.07°, intensity 31; 56.79°, intensity 15; 57.17°, intensity 18; 58.22°, intensity 18; 61.57°, intensity 29

# 3
Starting from a crystal structure in Alexandria, relaxed with GGA-PBE, the X-ray powder pattern of Tb6PrSm6 was calculated for Cu Kα.
Intensities are scaled so that the largest is 100.

Structure:
a b c (Å): 6.6143 11.3022 6.6161
angles (deg): 90.00 115.39 90.00
Positions (direct):
1 Tb 0.0000 0.2001 0.0000
2 Tb 0.0000 0.2742 0.5000
3 Tb 0.0000 0.7258 0.5000
4 Tb 0.0000 0.7999 0.0000
5 Tb 0.5000 0.2734 0.0000
6 Tb 0.5000 0.7266 0.0000
7 Pr 0.5000 0.5000 0.5000
8 Sm 0.1451 0.5000 0.8583
9 Sm 0.2307 0.0000 0.7688
10 Sm 0.5000 0.1635 0.5000
11 Sm 0.5000 0.8365 0.5000
12 Sm 0.7693 0.0000 0.2312
13 Sm 0.8549 0.5000 0.1417

Largest 10 diffraction maxima, sorted by position, 10 to 90 degrees two-theta:
28.57°, intensity 76; 29.86°, intensity 93; 31.41°, intensity 34; 31.67°, intensity 29; 32.01°, intensity 38; 33.94°, intensity 100; 34.80°, intensity 30; 35.84°, intensity 22; 51.71°, intensity 21; 58.65°, intensity 22

# 4
********

In Texas in recent decades, the watchwords have been prudence and stability in the course of nurturing a pro-business environment, while California has undergone a self-immolation that Pres. Barack Obama wants to replay nationally.

And Arthur Laffer

One would think – considering the recent budget fiasco in California – that a modern state needs a steeply progressive tax code just to survive. The case of Texas is a clear counterexample, showing that these fears are simply a myth. In the long run, there is no trade-off between healthy government finances and a competitive business environment.

And "AEI senior fellow" Newt Gingrich:

How do we reconcile America's resistance to further taxation with the dire need to overhaul a broken budgeting process in bankrupt state capitals and in Washington? Texas can serve as a pro-business, anti-waste model that could be replicated across the country. The state's long-term budgeting strategies, business incentives and wise exploitation of its natural resources have left it in sound fiscal shape.

Of course, now we know that Texas is facing a massive budget shortfall - up to $25 billion on a two-year budget of $95 billion (far larger than Rick Perry predicted), but Williamson and other conservative commentators have a backup argument:

== Misplaced calculated crystals ==
~~~
AgBH: calculated powder diffractogram (λ = 1.5418 Å (Cu Kα)), based on DFT lattice parameters and positions (PBE).
Kinematic intensities with the Lorentz-polarization factor, no thermal factor.

a b c (Å): 5.3333 5.8716 8.4180
angles (deg): 90.00 90.00 90.00
Space group Pnna (No. 52)
Asymmetric unit:
Ag  0.1404  0.2495  0.0735 x8
B  0.2340  0.6472  0.6795 x8
H  0.0630  0.2500  0.7500 x4
H  0.2500  0.0000  0.7056 x4

Most intense lines, 15° ≤ 2θ ≤ 90°, in order of rising 2θ:
| 2θ (°) | d (Å) | intensity | hkl |
| --- | --- | --- | --- |
| 19.71 | 4.505 | 33 | 1 0 1 |
| 21.11 | 4.209 | 64 | 0 0 2 |
| 24.91 | 3.574 | 48 | 1 1 1 |
| 30.45 | 2.936 | 94 | 0 2 0 |
| 36.17 | 2.483 | 69 | 1 0 3 |
| 37.03 | 2.428 | 100 | 2 1 0 |
| 37.35 | 2.408 | 36 | 0 2 2 |
| 39.40 | 2.287 | 70 | 1 1 3 |
| 43.01 | 2.103 | 51 | 2 1 2 |
| 47.98 | 1.896 | 57 | 1 2 3 |
| 63.99 | 1.455 | 29 | 3 1 3 |
| 78.80 | 1.215 | 27 | 2 1 6 |

=====

TlAgBH6: calculated powder diffractogram (λ = 1.5418 Å (Cu Kα)), based on DFT lattice parameters and positions (PBE).
Kinematic intensities with the Lorentz-polarization factor, no thermal factor.

a b c (Å): 4.3005 4.4915 6.1748
angles (deg): 104.88 102.97 102.98
Space group P1 (No. 1)
Asymmetric unit:
Tl  0.0000  0.0000  0.0000 x1
Ag  0.2626  0.7368  0.4931 x1
B  0.8188  0.3143  0.5524 x1
H  0.0793  0.2505  0.5338 x1
H  0.1214  0.5899  0.1868 x1
H  0.4070  0.8941  0.8030 x1
H  0.5948  0.0541  0.4219 x1
H  0.7322  0.5103  0.4595 x1
H  0.8201  0.3890  0.7562 x1

Most intense lines, 15° ≤ 2θ ≤ 90°, in order of rising 2θ:
| 2θ (°) | d (Å) | intensity | hkl |
| --- | --- | --- | --- |
| 21.46 | 4.141 | 66 | 0 1 0 |
| 22.08 | 4.026 | 72 | 0 1 -1 |
| 22.23 | 3.998 | 66 | 1 0 0 |
| 23.04 | 3.861 | 70 | 1 0 -1 |
| 30.23 | 2.957 | 66 | 1 -1 1 |
| 30.53 | 2.928 | 100 | -1 1 1 |
| 30.94 | 2.890 | 30 | 1 0 1 |
| 31.42 | 2.847 | 59 | 0 0 2 |
| 31.87 | 2.808 | 29 | 0 1 -2 |
| 35.58 | 2.523 | 42 | 1 1 0 |
| 37.40 | 2.405 | 37 | 1 1 -2 |
| 41.29 | 2.186 | 29 | 0 2 -1 |

=====

HoAg2BO4: calculated powder diffractogram (λ = 1.5418 Å (Cu Kα)), based on DFT lattice parameters and positions (PBE).
Kinematic intensities with the Lorentz-polarization factor, no thermal factor.

a b c (Å): 5.9611 5.9611 5.5100
angles (deg): 90.00 90.00 90.00
Space group I-42m (No. 121)
Asymmetric unit:
Ho  0.0000  0.0000  0.0000 x2
Ag  0.0000  0.5000  0.0000 x4
B  0.0000  0.0000  0.5000 x2
O  0.1455  0.1455  0.3395 x8

Most intense lines, 15° ≤ 2θ ≤ 90°, in order of rising 2θ:
| 2θ (°) | d (Å) | intensity | hkl |
| --- | --- | --- | --- |
| 21.97 | 4.046 | 50 | 1 0 1 |
| 29.98 | 2.981 | 100 | 2 0 0 |
| 32.50 | 2.755 | 38 | 0 0 2 |
| 37.48 | 2.400 | 42 | 2 1 1 |
| 42.91 | 2.108 | 41 | 2 2 0 |
| 44.80 | 2.023 | 74 | 2 0 2 |
| 48.72 | 1.869 | 12 | 3 0 1 |
| 54.84 | 1.674 | 39 | 2 2 2 |
| 70.67 | 1.333 | 19 | 4 2 0 |
| 72.05 | 1.311 | 19 | 4 0 2 |
| 76.12 | 1.250 | 15 | 2 0 4 |
| 79.96 | 1.200 | 25 | 4 2 2 |

=====
~~~
== So much for the calculated crystals ==

Texas’s low-B.S. approach...also left Texas with surpluses that allowed the state to put about $10 billion in its rainy-day fund, which could come in handy now that the economy seems to be clouding up a little. Could, but probably won’t: Republicans plan to introduce a budget that comes in within current revenue without touching the rainy-day fund. Get your head around that: There’s a multibillion-dollar pot of cash sitting there in front of politicians who must be just slavering inside at the thought of it, and they aren’t going to touch it — even though they have a pretty good excuse. Imagine a Congress that could do that. They haven’t delivered yet, but Perry’s Republicans did the stand-up thing last time around and reaped the rewards. Expect them to do it again.

If by "stand-up thing," you mean "use federal money to hide your deficit," then sure:

NEW YORK (CNNMoney) -- Texas Gov. Rick Perry likes to tell Washington to stop meddling in state affairs. He vocally opposed the Obama administration's 2009 stimulus program to spur the economy and assist cash-strapped states.
Perry also likes to trumpet that his state balanced its budget in 2009, while keeping billions in its rainy day fund.
But he couldn't have done that without a lot of help from ... guess where? Washington.
Turns out Texas was the state that depended the most on those very stimulus funds to plug nearly 97% of its shortfall for fiscal 2010, according to the National Conference of State Legislatures.
Texas, which crafts a budget every two years, was facing a $6.6 billion shortfall for its 2010-2011 fiscal years. It plugged nearly all of that deficit with $6.4 billion in Recovery Act money, allowing it to leave its $9.1 billion rainy day fund untouched.
"Stimulus was very helpful in getting them through the last few years," said Brian Sigritz, director of state fiscal studies for the National Association of State Budget Officers, said of Texas.
Even as Perry requested the Recovery Act money, he railed against it. On the very same day he asked for the funds, he set up a petition titled "No Government Bailouts."